### Activity
Quote every line below that contains the word "Cartesian".
### File
********
Record 1
Material: LiCoPO4
Method: DFT, GGA+U
State: relaxed

Summary:
- VASP energy: -6.591 eV per atom
- Crystal system: triclinic
- Calculated formation energy: -2.33 eV per atom
- Distance to the lowest polymorph of the same formula: 79.7 meV/atom
- Density: 3.09 g cm⁻³
- Space-group type: P1

The structure in POSCAR format:
```
LiCoPO4
1.0
-0.392 4.184 -3.476
-8.745 5.160 3.136
3.400 3.468 3.778
Li Co P O
4 4 4 16
Cartesian
-0.900 4.512 2.010
-1.736 2.103 -0.046
-4.000 10.708 3.485
-4.833 8.298 1.430
-4.807 5.197 1.244
-0.931 7.613 2.194
-5.666 7.537 4.879
-0.071 5.272 -1.436
-3.455 6.565 3.673
-7.093 6.096 2.370
1.355 6.718 1.068
-2.282 6.247 -0.234
-4.501 10.272 1.548
0.484 6.016 2.176
-6.220 6.797 1.262
-1.239 2.538 1.888
-6.313 4.805 2.722
-1.409 5.048 0.216
-4.324 7.766 3.223
0.572 8.006 0.715
-3.417 5.397 2.665
-5.119 9.313 5.613
-0.617 3.505 -2.179
-2.322 7.414 0.774
-1.975 7.051 3.895
-7.217 6.993 3.656
1.483 5.822 -0.219
-3.761 5.758 -0.455
```

=====

Record 2
Material: FeNiP2O9
Method: DFT, GGA+U
State: relaxed

Summary:
- VASP energy: -6.343 eV per atom
- Crystal system: orthorhombic
- Calculated formation energy: -1.83 eV per atom
- Density: 3.09 g cm⁻³
- Space-group type: Pnma

The structure in POSCAR format:
```
FeNiP2O9
1.0
-4.933 0.199 -3.941
4.542 -2.361 -5.805
-3.015 -13.412 3.095
Fe Ni P O
4 4 8 36
Cartesian
-1.008 -6.956 -6.686
-2.398 -8.617 0.035
-0.022 -2.363 -2.623
-3.384 -13.211 -4.028
-1.703 -7.787 -3.326
-2.467 0.100 -1.970
0.000 0.000 0.000
0.764 -7.886 -1.355
1.303 -7.836 -4.560
-4.709 -7.737 -2.091
-2.298 -1.501 -4.794
-1.108 -14.073 -1.857
-0.222 -4.470 -7.544
-3.184 -11.103 0.892
-0.402 -5.060 -2.285
-3.004 -10.514 -4.366
-2.411 -11.918 1.948
1.017 -3.736 -6.992
-3.882 -9.644 -5.287
-1.535 -5.848 -2.971
-0.995 -3.655 -8.599
-4.423 -11.837 0.341
0.476 -5.930 -1.364
-1.871 -9.725 -3.681
-0.379 -15.070 -2.820
-3.027 -0.503 -3.831
-3.731 -7.627 -3.310
0.325 -7.947 -3.341
-2.157 -7.446 -5.272
-1.249 -8.127 -1.379
-0.734 -0.905 -1.659
-2.672 -14.668 -4.993
-1.166 -4.892 -6.383
-2.240 -10.682 -0.268
-0.978 -3.848 -1.502
-2.428 -11.726 -5.149
-1.940 -13.121 -2.728
-3.377 -2.375 -5.450
-4.024 -8.612 -1.032
2.529 -7.038 -4.092
-1.466 -2.452 -3.923
-0.029 -13.198 -1.202
0.618 -6.961 -5.619
-5.935 -8.535 -2.559
-3.877 -11.264 -3.312
0.471 -4.310 -3.339
0.970 -12.059 -4.356
-4.376 -3.515 -2.295
-4.472 -14.163 -2.714
1.066 -1.410 -3.938
1.666 -9.212 -5.084
-5.072 -6.362 -1.567
```

=====

Record 3
Material: Li9Co7O16
Method: DFT, GGA+U
State: relaxed

Summary:
- VASP energy: -5.570 eV per atom
- Crystal system: monoclinic
- Calculated formation energy: -1.71 eV per atom
- Distance to the lowest polymorph of the same formula: 49.2 meV/atom
- Density: 4.32 g cm⁻³
- Space-group type: C2/m

The structure in POSCAR format:
```
Li9Co7O16
1.0
2.901 5.094 0.000
-2.901 5.094 0.000
0.000 3.416 9.508
Li Co O
9 7 16
Cartesian
-1.450 2.547 0.000
1.450 2.547 0.000
0.000 5.090 7.180
0.000 10.193 7.167
1.450 4.255 4.754
-1.450 4.255 4.754
0.000 8.514 2.328
0.000 3.412 2.340
0.000 5.094 0.000
0.000 0.000 0.000
-1.431 5.947 2.316
-1.431 7.658 7.191
1.431 7.658 7.191
0.000 6.802 4.754
0.000 1.708 4.754
1.431 5.947 2.316
-1.566 4.362 1.149
1.566 4.362 1.149
0.000 6.850 8.169
0.000 12.029 8.389
1.532 6.050 5.852
-1.532 6.050 5.852
0.000 10.396 3.554
0.000 5.258 3.607
1.566 9.242 8.359
-1.566 9.242 8.359
0.000 3.208 5.954
0.000 8.347 5.901
-1.532 7.555 3.656
1.532 7.555 3.656
0.000 6.754 1.339
0.000 1.575 1.119
```

=====

Record 4
Material: LiMn2P3O11
Method: DFT, GGA+U
State: relaxed

Summary:
- VASP energy: -7.188 eV per atom
- Crystal system: monoclinic
- Calculated formation energy: -2.48 eV per atom
- Density: 3.17 g cm⁻³
- Space-group type: C2

The structure in POSCAR format:
```
LiMn2P3O11
1.0
4.292 5.920 0.000
-4.292 5.920 0.000
0.000 3.279 7.962
Li Mn P O
2 4 6 22
Cartesian
-2.012 5.366 5.880
-2.012 9.752 2.082
-2.213 5.453 2.335
2.216 8.034 1.638
-2.213 9.665 5.627
2.216 7.084 6.324
-0.530 7.758 7.700
********
### Response
Cartesian
Cartesian
Cartesian
Cartesian